Custodial Care Cash Management Software
For organizations with the fiduciary responsibility for managing and tracking money for persons under their supervision. This could include in-patient mental health facilities, facilities that supervise developmentally disabled individuals, prisons, juvenile detention facilities, etc. PC Bennett provides a comprehensive solution to this challenging responsibility.
-- Unrelated to this entry: records of crystals --
'''
#P
AgAs3 at its PBEsol-relaxed geometry. Source: Alexandria, functional meta-GGA SCAN.

a b c (Å): 5.828 5.828 5.828
angles (deg): 144.62 138.44 55.70
Sites, in units of the cell vectors:
Ag  0.000  0.000  0.000
As  0.297  0.797  0.500
As  0.500  0.500  0.000
As  0.703  0.203  0.500

The density is 7.3 Mg/m³. As for the space group: No. 71.


#Q
AgAs3 at its PBEsol-relaxed geometry. Source: Alexandria, functional meta-GGA SCAN.

a b c (Å): 6.444 6.444 3.962
angles (deg): 90.00 90.00 111.90
Sites, in units of the cell vectors:
Ag  0.093  0.907  0.750
Ag  0.907  0.093  0.250
As  0.203  0.386  0.750
As  0.262  0.738  0.250
As  0.386  0.203  0.250
As  0.614  0.797  0.750
As  0.738  0.262  0.750
As  0.797  0.614  0.250

The density is 7.2 Mg/m³. As for the space group: No. 63.


#R
AgAs3 at its PBEsol-relaxed geometry. Source: Alexandria, functional meta-GGA SCAN.

a b c (Å): 5.398 5.398 5.375
angles (deg): 90.00 90.00 90.07
Sites, in units of the cell vectors:
Ag  0.035  0.965  0.750
Ag  0.965  0.035  0.250
As  0.010  0.535  0.250
As  0.465  0.990  0.250
As  0.470  0.530  0.250
As  0.530  0.470  0.750
As  0.535  0.010  0.750
As  0.990  0.465  0.750

The density is 7.1 Mg/m³. As for the space group: No. 63.


#S
AgAs3 at its PBEsol-relaxed geometry. Source: Alexandria, functional meta-GGA SCAN.

a b c (Å): 2.903 4.247 5.979
angles (deg): 90.00 90.00 90.00
Sites, in units of the cell vectors:
Ag  0.000  0.000  0.000
As  0.000  0.000  0.500
As  0.500  0.500  0.227
As  0.500  0.500  0.773

The density is 7.5 Mg/m³. As for the space group: No. 47.


Energy ordering: #R at the bottom, the next structure 16.1 kJ/mol of atoms above.


#P
Ag5As at its PBEsol-relaxed geometry. Source: Alexandria, functional meta-GGA SCAN.

a b c (Å): 5.005 5.005 4.645
angles (deg): 90.00 90.00 120.00
Sites, in units of the cell vectors:
Ag  0.000  0.668  0.000
Ag  0.332  0.332  0.000
Ag  0.333  0.667  0.500
Ag  0.667  0.333  0.500
Ag  0.668  0.000  0.000
As  0.000  0.000  0.500

The density is 10.1 Mg/m³. As for the space group: No. 189.


#Q
Ag5As at its PBEsol-relaxed geometry. Source: Alexandria, functional meta-GGA SCAN.

a b c (Å): 6.502 6.502 4.060
angles (deg): 90.00 90.00 143.95
Sites, in units of the cell vectors:
Ag  0.000  0.000  0.000
Ag  0.167  0.833  0.500
Ag  0.332  0.668  0.000
Ag  0.668  0.332  0.000
Ag  0.833  0.167  0.500
As  0.500  0.500  0.500

The density is 10.1 Mg/m³. As for the space group: No. 65.


Energy ordering: #Q at the bottom, the next structure 0.6 kJ/mol of atoms above.


#P
Ag5As at its PBEsol-relaxed geometry. Source: Alexandria, functional meta-GGA SCAN.

a b c (Å): 5.503 5.503 6.849
angles (deg): 104.34 104.34 30.31
Sites, in units of the cell vectors:
Ag  0.000  0.000  0.000
Ag  0.053  0.053  0.610
Ag  0.330  0.330  0.667
Ag  0.390  0.390  0.281
Ag  0.666  0.666  0.334
As  0.723  0.723  0.950

The density is 10.1 Mg/m³. As for the space group: No. 8.


#Q
'''
-- So much for the records of crystals --
Flexible Setup and Configuration
System-wide settings with Facility-level and Client-Level overrides
- Restitution Withholding and Payment
- Cost of Care Deductions
- Personal Needs Allowance
- Over-Earnings Deduction
- Over-Resource Deduction
- Spending Limits
- Petty Cash Withdrawal Limits
- Account Overdraw Rules and Limits
- Intra-Facility ‘Wage’ Rates
- Facility Locations & Rooms
- Multiple Unique ID’s
- Multiple Accounts per Client (Banks Accounts and/or Intra-Facility Accounts)
-- Unrelated to this page: calculated crystals --
DFT (PBE-GGA) results for a geometry-optimized DyErLuIn structure.

Properties
The theoretical density comes out at 9.25 Mg/m³. The calculation puts the calculated formation energy at -0.136 eV per atom. As for the total magnetization: 0.1 μB/f.u.

a b c (Å): 7.6330 7.6330 7.6330
angles (deg): 90.00 90.00 90.00
Closest atoms and distances in Å follow each position.
Space group F-43m (No. 216)
Unique sites:
Dy: 0.0000 0.0000 0.0000  4 In 3.31, 4 Lu 3.31
Er: 0.0000 0.0000 0.5000  4 In 3.31, 4 Lu 3.31
Lu: 0.2500 0.2500 0.7500  4 Dy 3.31, 4 Er 3.31
In: 0.2500 0.2500 0.2500  4 Dy 3.31, 4 Er 3.31

=====

Nd5Cd2Ru after structural relaxation. Source: the Alexandria database, functional PBE.

The structure in extended XYZ format:
```
8
Lattice="3.979 -5.498 0.000 3.979 5.498 0.000 -3.975 0.000 5.497" Properties=species:S:1:pos:R:3 pbc="T T T"
Nd 0.000 0.000 0.000
Nd 5.992 0.000 2.717
Nd 2.008 2.783 0.010
Nd 2.008 -2.783 0.010
Nd 2.007 0.000 2.790
Cd 0.063 2.751 2.759
Cd 0.063 -2.751 2.759
Ru 5.197 0.000 0.007
```

## Properties
energy of formation	-78	kJ/mol of formula units
density	7.23	Mg/m³
space group	Cm, No. 8
total magnetic moment	0.00	μB per cell

=====

(1)
Compound: CeNp2Pt9
Source: the Alexandria database
Functional: PBE-GGA
Structure: optimized geometry

```
CeNp2Pt9
1.0
-4.562 0.502 -2.852
-3.772 -3.862 0.235
-6.623 3.055 6.014
Pt Ce Np
9 1 2
direct
0.587 0.082 0.744
0.413 0.918 0.256
0.500 0.500 0.500
0.333 0.333 0.002
0.918 0.413 0.256
0.667 0.667 0.998
0.413 0.413 0.256
0.587 0.587 0.744
0.082 0.587 0.744
0.000 0.000 0.000
0.857 0.857 0.428
0.143 0.143 0.572
```

Values from the calculation:
**Total energy**: -7.88 eV/atom
**Space-group type**: R-3m, No. 166
**Calculated density**: 17.44 g cm⁻³
**Energy relative to the elements**: -0.694 eV/atom

(2)
Compound: Cd4CuPd5
Source: the Alexandria database
Functional: PBE-GGA
Structure: optimized geometry

```
Cd4CuPd5
1.0
-1.060 1.176 2.611
-2.017 -2.283 0.210
12.003 -9.752 9.263
Cd Pd Cu
4 5 1
direct
0.000 0.000 0.814
0.000 0.000 0.186
0.000 0.000 0.395
0.000 0.000 0.605
0.500 0.500 0.916
0.500 0.500 0.709
0.500 0.500 0.084
0.500 0.500 0.291
0.500 0.500 0.500
0.000 0.000 0.000
```

Values from the calculation:
**Total energy**: -3.72 eV/atom
**Space-group type**: P4/mmm, No. 123
**Calculated density**: 10.33 g cm⁻³
**Energy relative to the elements**: -0.346 eV/atom

=====

A plane-wave DFT calculation with GGA-PBE was carried out for a geometry-optimized Li4DyPt structure.

ΔH_f (0 K) ... -1.283 eV per formula unit
Crystal system ... cubic
Total moment ... 0.00 μB/atom

Cell lengths 5.167, 5.167, 5.167 Å; angles 60.00, 60.00, 60.00 degrees
Sites, in units of the cell vectors:
Li1 0.122 0.122 0.122
Li2 0.122 0.122 0.635
Li3 0.122 0.635 0.122
Li4 0.635 0.122 0.122
Dy1 0.500 0.500 0.500
Pt1 0.750 0.750 0.750
- Witness Requirements for Client Transactions
- Sources and Uses of Funds
- Vendors
- Scheduled Recurring Payments

Comprehensive Transaction Processing
- Mass Import / Processing of Checks Received / Deposited
- Mass Processing of Checks to Vendors (Recurring, Ad-Hoc, Automated)
- Pooled Bank Account Interest Allocation
- Account Transfers & Adjustments
- Informational-Only Transactions
- Rules-Based Distribution of Funds on Move/Discharge
- Streamlined Import/Entry of Intra-Facility ‘Wages’ Earned
- Petty Cash Withdrawals / Change Returned / Receipt Tracking
- Simple Reversal of All Client Transactions (Controlled by Security Configuration)
- Lump-sum Payment Deferred from Cost of Care Deductions
The system comes with a fully-functional Report Writer module plus a Generic Inquiry tool. It also comes with multiple Pre-Built Reports and Inquiries, including:
- Account Summary By Client – For a specified date, shows account balances by Client.
- Report to Guardian – For a specified date range, a statement of account activity, along with the beginning and ending balance for each client assigned to a guardian. Includes both a Summary and Detail version.
- Client Statement – For a specified date range, a statement of cash activity, along with the overall beginning and ending balance for each client.
- Sources and Uses of Cash – For a specified date range, shows the Number and Dollar Amount of each type of transaction by Source/Use of Funds types for each client.
- Client Discharge Inquiry – Shows the Status of Clients currently in the Move/Discharge process.
- Detailed Inquiries of Client Activity by Date Range:
- Cost of Care
- Over-Resource
- Over-Earnings
(Attached: calculated crystals)
____________
Record 1
This record from Alexandria via LeMat-Bulk describes a geometry-optimized Sr2ScRuSe structure. The functional is PBE.

Lattice parameters (Å, degrees): 5.979 5.979 4.627 90.00 90.00 90.00
Space group P4/mmm (No. 123)
Asymmetric unit:
Sr 0.000 0.500 0.000 (multiplicity 2)
Sc 0.000 0.000 0.500 (multiplicity 1)
Ru 0.500 0.500 0.000 (multiplicity 1)
Se 0.500 0.500 0.500 (multiplicity 1)

DOS(E_F): 0.932 states/eV per atom
Calculated total energy: -21.61 eV/cell
Formation energy (no corrections): 169 meV per atom
Magnetization: 0.3052 μB/atom



Record 2
This record from Alexandria via LeMat-Bulk describes a geometry-optimized LiPtPb structure. The functional is PBE.

Lattice parameters (Å, degrees): 4.7356 4.7356 3.0451 90.00 90.00 120.00
Space group P3m1 (No. 156)
Asymmetric unit:
Li 0.0000 0.0000 0.0000 (multiplicity 1)
Pt 0.3333 0.6667 0.5040 (multiplicity 1)
Pb 0.6667 0.3333 0.4994 (multiplicity 1)

DOS(E_F): 0.324 states/eV per atom
Calculated total energy: -12.53 eV/cell
ΔE_f: -0.87 eV/f.u.
Magnetization: 0.0000 μB/atom
____________
- Restitution Payments
- All Transaction Details